
1 Introduction

Agricultural production systems around the Mediterranean basin rely mostly on rainfed agriculture in hilly watersheds, although some irrigation is sustained downstream of water reservoirs. With climate change and increasing demand for water, most commonly cultivated species, particularly cereals, are exposed to high risks of water shortages during the growing season. Under such threats, managing agricultural activities, for optimum water use, requires a good assessment of crop actual evapotranspiration (ET), a major term of both land surface energy and water balances. In practice, ET could be obtained either from direct measurements or through estimations by models using weather and soil moisture data. The eddy covariance technique (EC), based on high-frequency measurements of fluctuations of wind speed and air temperature/humidity, is a direct method used to determine the convective fluxes between land surface and atmosphere in terms of sensible heat flux and latent heat flux which is equivalent to ET. However, characterizing evapotranspiration over crop fields in a hilly terrain requires accounting for relief influences. First, solar and net radiations are larger over south-facing slopes (Raupach and Finnigan 1997; Holst et al. 2005). Second, soil water content increases when coming closer to the valley bottom (Hugo et al. 2013). Third, boundary layer conditions are typified by specific regimes in terms of thermal stratification, airflow, wind speed and wind vertical profile (Raupach and Finnigan 1997). Such constraints are not considered in operational models used for ET estimation, including the widely adopted Penman-Monteith (ETo) or FAO-56 method (Allen et al. 1998).

Between two parts of the piece: materials data >
********
The following is a DFT calculation (PBE-GGA) of Cs2UTa6Cl15O3 after structural relaxation.

Computed properties:
Total DFT energy (no corrections), eV for the cell shown: -344.660
SG: P-31c
Calculated formation energy, kJ/mol of formula units: -4592
Magnetization, μB per formula unit: 3.77

The structure in POSCAR format:
```
Cs2UTa6Cl15O3
1.0
3.8654 8.0362 2.4260
-8.2083 -2.4193 3.4898
7.9328 -7.8134 13.2420
Cs U Ta Cl O
4 2 12 30 6
Direct
0.3333 0.6667 0.4539
0.6667 0.3333 0.9539
0.3333 0.6667 0.0461
0.6667 0.3333 0.5461
0.3333 0.6667 0.7500
0.6667 0.3333 0.2500
0.1910 0.0134 0.1828
0.9866 0.1776 0.1828
0.8090 0.8224 0.6828
0.1776 0.1910 0.8172
0.8224 0.0134 0.3172
0.1910 0.1776 0.3172
0.0134 0.8224 0.8172
0.8090 0.9866 0.8172
0.9866 0.8090 0.3172
0.0134 0.1910 0.6828
0.8224 0.8090 0.1828
0.1776 0.9866 0.6828
0.9272 0.5310 0.3840
0.5310 0.9272 0.8840
0.5310 0.6038 0.6160
0.3962 0.4690 0.8840
0.2051 0.9848 0.4139
0.0728 0.4690 0.6160
0.7797 0.9848 0.0861
0.9848 0.2051 0.9139
0.2051 0.2203 0.0861
0.9848 0.7797 0.5861
0.2203 0.2051 0.5861
0.0152 0.7949 0.0861
0.2125 0.4251 0.2500
0.6038 0.5310 0.1160
0.2203 0.0152 0.9139
0.6038 0.0728 0.3840
0.5749 0.7875 0.2500
0.3962 0.9272 0.6160
0.7797 0.7949 0.4139
0.7949 0.0152 0.5861
0.0728 0.6038 0.8840
0.4690 0.0728 0.1160
0.4251 0.2125 0.7500
0.0152 0.2203 0.4139
0.7875 0.5749 0.7500
0.9272 0.3962 0.1160
0.2125 0.7875 0.2500
0.7875 0.2125 0.7500
0.7949 0.7797 0.9139
0.4690 0.3962 0.3840
0.8119 0.1881 0.2500
0.3761 0.1881 0.2500
0.1881 0.3761 0.7500
0.8119 0.6239 0.2500
0.6239 0.8119 0.7500
0.1881 0.8119 0.7500
```

***

The following is a DFT calculation (PBE-GGA) of Cs2UCl4O2 after structural relaxation.

Computed properties:
Total DFT energy (no corrections), eV for the cell shown: -50.850
SG: C2/m
Calculated formation energy, kJ/mol of formula units: -2108
Magnetization, μB per formula unit: 0.00

The structure in POSCAR format:
```
Cs2UCl4O2
1.0
-7.1979 -0.8046 -0.7229
-2.4290 -6.7846 1.0244
-1.5141 0.4706 5.7428
Cs U Cl O
2 1 4 2
Direct
0.6662 0.6662 0.6780
0.3338 0.3338 0.3220
0.0000 0.0000 0.0000
0.1483 0.6530 0.7989
0.3470 0.8517 0.2011
0.8517 0.3470 0.2011
0.6530 0.1483 0.7989
********

The main objective of this study was to assess the variability of ET during the period of active growth for wheat in a hilly watershed of northern Tunisia, using flux measurement stations. Experimental data were compared to ET estimations based on reference evapotranspiration (ETo) and crop coefficients.

2 Materials and Methods

The experiment was conducted in three wheat fields, located within the hilly area of Cap-Bon -Tunisia. Two flux measurement stations were installed in sloping parcels (A, B) on opposite rims and the third in a flat area (C) within a watershed. In situ monitoring of sensible heat and water vapor fluxes, net radiation and weather factors covered the months of active growth for wheat (January–April 2013). During the experiment, micro-meteorological instability combined with instrumental dysfunctions reduced the volume of complete data sets. With many missing data in the obtained time series, we had to use the gap-filling method based on the LE/Rn ratio to derive daily ET values from hourly records, following the technique proposed by Roupsard et al. (2006). Reference evapotranspiration (ETo) was determined from meteorological measurements, according to the Penman-Monteith equation (Allen et al. 1998).

3 Results and Discussion

Daily ET measurements obtained in the different sites were compared to corresponding ETo values. Figure 1 shows an important scatter of ET data, reflecting important variations in precipitations and climate demand conditions during the growing season. Strikingly, most of ET points are found below the line 1:1, while empirically ET/ETo ratio, or crop coefficient, of the wheat crop is supposed to be around 1.15 during periods of full vegetation (Allen et al. 1998). Several authors reported on cases of underestimation of ET by the EC method, arguing that EC overestimates the available energy and underestimates the convective energy (Twine et al. 2000; Evett et al. 2012a, b). The results of Fig. 1 also indicate that differences between ETo and ET are more obvious for sloping sites (A, B) than for horizontal terrain (C). Field configurations could be associated to the effect of slope and aspect, inducing in the case of upslope winds a low evapotranspiration (stomata closure and increasing of the aerodynamic resistance), and in the case of down slope winds high evapotranspiration (Rana et al. 2007).

Fig. 1
figure 1

Daily ET values of wheat estimated in sloping (A, B) and flat (C) fields versus ETo during the mid-season (March 01–April 15, 2013)

On the overall, ET or water consumptive use by the wheat crop reported in Fig. 1 is frequently higher on the flat terrain (C) than on sloping fields (A and B). This means that relief has an effect on ET, regardless of the possible systematic underestimations inherent to EC measurements.

During the life cycle of the crop, ET increases following vegetation growth and in response to increasing ETo. Calculation of mean values over the main growth stages of wheat shows smaller ET averages in the sloping fields (A, B) compared to flat conditions (C) (Table 1). ET was at a minimum of 1.6 for sloping fields and 1.8 for flat area (C) at early stages of crop development in winter (17/01–28/02) and maximums of 2.3 and 3.2 mm/day during the period of maximum vegetation (01/03–15/04). ETo increased during the same period from 1.9 to 3.1 mm/day. Under adequate water supply, the ratio ET/ETo, representing empirically the crop coefficient Kc, is considered to reach its maximum at full crop growth. ET/ETo ratios during the mid-season stage (March 1–April 15) were 0.81, 0.74 and 1.03, respectively, for field A, B and C (Table 1), well below the commonly used value of 1.15, proposed by the FAO-56 paper (Allen et al. 1998).

Table 1 Daily averages of ET (mm/d) for the wheat crop and ratios of ET/ETo (FAO Penman-Monteith), showing the range of evapotranspiration reduction in sloping terrain

The differences are basically in the range of 10–30%. These results suggest that it is necessary to take into account topography in order to have accurate ET estimates when using the Penman-Monteith model outside standard conditions.

4 Conclusion

Used in a comparative study of evapotranspiration over changing topography, Eddy Covariance method showed very good performances in semi-arid environments, despite some problems linked to sensors and missing data. Measurements demonstrated substantial reduction in water consumption for wheat grown on sloping fields. For daily ETo variations between 2.0 and 4.0 mm/day, ET of actively growing wheat was in the range of 1.6–3.2 mm/day, well below estimations based on ETo according to FAO method. Reductions of 10–30%, were associated to effects of slope and aspect of terrain, suggesting that the EC method is appropriate for testing land surface water and energy balance models. Also, correction factors, taking into account topography, should be used in hilly areas for more accurate estimations of ET.